Friday, 30 April 2010

Kazuo Ishiguro

I met up with a business colleague yesterday and one of the things we talked about was our reactions to reading the short stories by Ishiguro collected under the title of Nocturnes.

Since I'd only met her once previously I didn't know her tastes in reading but she'd posted on LinkedIn that she was reading Nocturnes.  I'd only just finished the book so it gave us a point of connection. 

What drew me to the book, apart from liking short stories, was that Ishiguro had written the lyrics for one of my favourite singers Stacey Kent., recorded on Breakfast on the Morning Tram, issued by Blue Note in 2007.

The stories in Nocturne explore themes of life, love and music.  Both my colleague and I were left wanting to more about the characters in the stories, some of whom appear more than once.

Wednesday, 28 April 2010

Writing a business book: 10 essential rules

  1. Start your book:. I have no official statistics but my informal research tells me that the ratio of would be writers to actual starters is 10:1. 
  2. Write something every day.  Even if you only manage half a page in Word, that's better than going a week then exhausting yourself by writing 50 pages.  Writing is like other activites, the more often you do it the easier it gets.  Try for 15 minutes every day.
  3. Be disciplined. When you write make sure that's your time.  Ignore the phone, the email and everything else.  Even if you only allocate that 15 minutes, ring fence it.  Get up early.  Stay up late.  Do whatever it takes to create that space.
  4. Send your internal critic on holiday. One of the commonest problems for new writers is to review their work as they go along.  That's the worst thing to do because writing is a seaparate activity from editing.  Confusing the two will stop you putting anything down on paper.  When you write, only write.
  5. Find your best time to write. Morning or evening?   Short bursts or lengthy sessions?  When and how are you most efficient at anything?  Writing is no different in requiring your concentration and focus. 
  6. Do your research - before you write.  You may need to do a substantial amount of research for your writing.  If so then do it before you begin to write; give everything itime to settle in your brain beofre you start writing..  Like editing, research takes a different mindset and stopping in the middle of writing to check a fact will slow you down and break your train of thought.  If you need to check something then write that into the text in capitals soyou'll pick it up easily when you edit.
  7. Be approachable.  The whole point of writing is to communicate something to your reader and make a connection.  Remove as many obstacles as possible.
  8. Be flexible.  Changing the structure of what you write can help you communicate better.  Keeping to a rigid structure is wrong if it makes you less effective.  Your priority is not to produce the perfect structure but one that works for your reader.
  9. Be passionate.  Enjoy what you want to communicate.  Passion sells.
  10. Finish your book.  There are thousands of unfinished manuscripts hidden in desk drawers and computer discs.  Make sure yours sees the light of day.

Tuesday, 27 April 2010

Inspirational quotes for writers

‘Writing a book is an adventure. To begin with, it is a toy and an amusement. Then it becomes a mistress, then it becomes a master, then it becomes a tyrant. The last phase is that just as you are about to be reconciled to your servitude, you kill the monster, and fling him to the public.'  Winston Churchill

Monday, 26 April 2010

Writing Bullets: how to do it for maximum effect

Bullets are a major weapon in your writing armoury.

Want to whiz your reader through your text?
Want to make your points fast?
Want to catch those scanners and skimmers on your website?

Bullets are what you need.

Writing them for effect is vital.  Here's how:
  • cover only one point at a time
  • pull out the juiciest information to highlight
  • add the page number for a book where they can find more of the information
  • answer questions they might want to ask
  • slip in teasers for in-depth information
  • make them active and positive
How do you set about constructing bullets?

  1. Take the piece of tex you're writing and on index cards, write down the  most important facts, featrues of the product or service you're promoting.
  2. For each fact and feature, create a benefit for the user.
  3. Look at each benefit in turn and write it in not more than 10 words.  you can use longer bullets but limiting yourself to 10 words makes you focus on the essentials.
It takes practice at dashing off bullets but once you've acquired the skill you'll be amazed how many ways you can use that skill.

  1. Create bullets for anything you write - a great way to give you the skeleton of a piece.
  2. Write a 60 second introduction to your business using connected bullets.
  3. Talk or write about the essential benefits of your business - fast.
Bullets are the essential bones of your business writing.  If you can't make lively bullets from what you're writing, you sneed to change it.

Sunday, 25 April 2010

Saturday, 24 April 2010

Writing science fiction?

The fourth Alt.Fiction is programmed to take place on 12th June 2010 in QUAD; Derby’s brand new state-of-the-art multi-media venue.

Alt.Fiction is made up of a number of different types of sessions, such as readings, workshops, discussion panels and Q&A sessions.This year BBC books – publishers of tie-in-novels from the ‘Doctor Who’, ‘Torchwood’ and ‘Being Human’ series – have confirmed their attendance

Friday, 23 April 2010

Business Writing essential: sub-headings

Sub-headings need to be seen as key parts of your text.

Sub-headings create focus

Sub-headings act as the landing lights for your reader coming in.  Without them, all the reader and the search engines might see is a mass of dark text with no guide as to what are the most important parts for them to read.

Sub-headings make it easy for your reader

What we have to do is ease our reader through the text in the way we want them to go.  Make them work hard and they're likely to bail out.

How do you produce effective sub-headings?

Misplaced quantum chemistry results:
=====
1.
Density functional theory data (ωB97M-V/def2-TZVPD) for a structure of composition C17H25BN3O3PtS at a distorted geometry.

Summary:
charge	+3
gap between HOMO and LUMO	6.4284	eV
spin multiplicity	1
ΔE to the lowest compared entry with this formula, charge and spin	60.6	kJ/mol
HOMO level	-19.1	eV

```
51
C17H25BN3O3PtS ωB97M-V/def2-TZVPD
Pt -0.48 -1.38 0.11
C 3.28 -3.68 0.02
C 2.41 -2.58 0.52
O 1.25 -2.45 -0.01
N 2.81 -1.79 1.49
C 2.02 -0.68 1.97
C 0.82 -1.12 2.75
C 0.84 -1.35 4.11
C -0.32 -1.73 4.78
C -1.50 -1.86 4.07
C -1.49 -1.63 2.71
N -0.35 -1.30 2.08
H 2.94 -4.00 -0.97
H 3.21 -4.52 0.71
H 4.32 -3.35 -0.03
H 3.73 -1.97 1.89
H 1.72 -0.07 1.12
H 2.65 -0.03 2.59
H 1.76 -1.20 4.65
H -0.30 -1.91 5.85
H -2.43 -2.13 4.55
H -2.38 -1.71 2.10
S -3.92 -3.00 -2.28
C -4.37 -1.42 -1.79
C -3.40 -0.85 -1.05
N -2.31 -1.68 -0.84
C -2.47 -2.86 -1.45
H -5.32 -1.00 -2.09
H -3.40 0.14 -0.63
H -1.73 -3.65 -1.41
C -1.20 3.00 -2.98
C -0.70 2.60 -1.62
C -1.24 3.48 -0.52
O -1.31 1.18 -1.32
B -0.27 0.62 -0.74
O 0.96 1.07 -0.62
C 0.85 2.34 -1.55
C 1.62 3.44 -0.87
C 1.48 1.91 -2.85
H -2.29 3.10 -2.96
H -0.93 2.29 -3.75
H -0.79 3.97 -3.24
H -2.33 3.46 -0.54
H -0.93 4.51 -0.67
H -0.90 3.17 0.47
H 1.31 3.60 0.16
H 1.47 4.38 -1.42
H 2.69 3.22 -0.90
H 0.94 1.08 -3.32
H 2.51 1.61 -2.68
H 1.49 2.74 -3.56
```

***

2.
Density functional theory data (ωB97M-V/def2-TZVPD) for a structure of composition C35H33BrN4O6Pb.

Summary:
charge	+2
gap between HOMO and LUMO (spin up / spin down)	4.9876 / 5.9028	eV
spin multiplicity	1
ΔE to the lowest compared entry with this formula, charge and spin	104.7	kJ/mol
HOMO level (spin up / spin down)	-13.0 / -13.0	eV

```
80
C35H33BrN4O6Pb ωB97M-V/def2-TZVPD
Pb 2.50 -0.45 0.34
C -5.86 0.47 -0.09
O -4.44 0.41 -0.37
C -3.70 1.48 -0.45
C -4.12 2.80 -0.38
C -3.18 3.80 -0.49
C -1.79 3.52 -0.68
C -1.35 2.24 -0.75
C -2.29 1.18 -0.65
N -1.94 -0.10 -0.76
C -0.57 -0.50 -0.77
N -0.18 -1.03 -1.93
C 1.05 -1.57 -2.39
C 2.26 -1.60 -1.73
C 3.41 -2.12 -2.30
C 3.33 -2.63 -3.58
C 2.13 -2.61 -4.28
C 1.00 -2.07 -3.70
O -0.21 -1.97 -4.30
C -0.38 -2.61 -5.58
N 0.16 -0.29 0.28
C -0.53 -0.02 1.51
C -0.19 1.07 2.30
C -0.83 1.28 3.51
C -1.84 0.42 3.93
C -2.20 -0.66 3.13
C -1.54 -0.89 1.93
O -1.92 -1.90 1.09
C -1.86 -3.24 1.62
H -6.08 -0.37 0.56
H -6.40 0.36 -1.03
H -6.14 1.39 0.40
H -5.16 3.05 -0.26
H -3.51 4.83 -0.45
H -1.08 4.34 -0.78
H -0.30 2.02 -0.90
H -2.66 -0.81 -0.65
H -0.88 -1.03 -2.66
H 4.37 -2.09 -1.78
H 4.22 -3.03 -4.06
H 2.09 -3.00 -5.29
H 0.31 -2.19 -6.31
H -1.39 -2.40 -5.88
H -0.22 -3.68 -5.49
H 0.61 1.73 1.98
H -0.55 2.13 4.13
H -2.36 0.59 4.86
H -3.01 -1.32 3.43
H -2.51 -3.86 1.00
H -2.22 -3.27 2.65
H -0.84 -3.61 1.58
O 2.42 -0.21 3.00
C 1.91 -1.27 3.81
C 1.98 -2.61 3.10
C 1.77 -3.78 3.83
C 1.78 -4.99 3.16
C 2.00 -5.01 1.79
C 2.19 -3.81 1.14
N 2.18 -2.63 1.78
H 3.28 0.08 3.33
H 0.86 -1.04 4.02
H 2.43 -1.32 4.76
H 1.61 -3.73 4.90
H 1.64 -5.91 3.71
H 2.03 -5.94 1.24
H 2.38 -3.77 0.07
Br 1.50 8.15 -1.77
C 1.76 6.33 -1.36
C 2.26 5.48 -2.33
C 2.45 4.14 -2.02
=====

Sub-headings provide exactly the same service as do headlines.  They are simply further down the page.  Headlines are there to coax you to read the first line of the text.  Sub-headings are there to coax you to read the next section.

Think of the story you want them to read

Guiding them through the story via the sub-headings means that if they dip in half way down the piece, the sub-heading where they dip in should be as compelling a part of the story as is the headline.

Pull them into the conversation via the sub-headings

Using open questions in the sub-headings starts them thinking about the conversation that's happening in your piece.  Teasing them and intriguing them with interesting facts is another way of doing it.

You only have one chance to attract their interest.  Hiding the most important or fascinating facts deep in your text won't help you gain their interest.

Be bold, be up-front and be genuine with your sub-headings.  Construct them properly and they'll work hard for you.

Wednesday, 21 April 2010

Writing your book: 5 ideas to begin

If you see writing a book as a major task, then you're not alone.  Since few business people attempt it even when they think there are benefits to be gained, it's one of those tasks that will be done, "When I have time.".

What if instead of it being a major undertaking, it becomes only a progression of the writing you do anyway?  Thinking about it that way can transform it into an end in sight as you write daily.

Here are 5 ideas on what you can use:

1      Blog entries

You're already writing these on a regular basis aren't you?  If not then you should make it a priority because it works for you on two levels.  It provides interesting material to send to your contacts and just as important, search engines love content.  Think about constructing your blogs around thems that would provide section or chapter headings for your book.

2.     Frequently Asked Questions 

Most websites have sections based around this them.  Sometimes they're called other things, but offer information that is searched for on a regular basis.  In your busienss you'll have something that voers all the basic informaiton about what you do.  It's the type of topic often covered in offline brochures.  again you can adapt the contents of your basic informaiton into a short book.  This will carry more weight with readers than a brochure, no matter how substantial.

3      How to manuals

These can be an extension of or an alternative to the FAQ segment.  They need to be easy to read and understand for the reader.  Comprehensive but not intimidating.  All businesses contain large amounts of information that often goes to waste because it's in jargon form or seen as 'internal' documents.  Sharing how you produce your products or services can  make a connection with prospective clients or purchasers.

4      Journals 

Depending on the type of writing you do, or your prospective audience, journal entries you make anyway can form the foundation of a book.  Many books by journalists have started life as regular column entries which at a later date have been turned into books.  If you think that a column may be 250-500 words per entry, over the course of a year you may have written between 20-25000 words.  More than enough for a 100 page small book, especially when you add in a foreword, an introductory section and closing chapter.

5      Social media entries 

Already this has been done.  Maybe you think it's stupid but if you accept that a book can be any size you want it to be these days, and you can produce as few or as many copies as you want, then it becomes less stupid.

Any book can enhance your reputation as an expert, speaker, business consultant or what you want it to be.  Focus on how you can fit the book into your marketing strategy... before you begin to write it.  Check out what esists already then create your unique take on the subject.

Sunday, 18 April 2010

Today's quote

“Self-awareness. . . is a neutral mode that maintains self-reflectiveness even in the midst of turbulent emotions.” Daniel Goleman

Monday, 12 April 2010

Libraries - long may they survive in whatever form

Jorge Luis Borges 'I have always imagined that Paradise will be a kind of library.'

As an ex librarian, I love this quote. From the age of 7 when they allowed us to join (barabaric to make us wait so long then) I've always adored going to libraries.

Even though libraries have changed almost out of recognition since that time, I still have a thrill every time I go.  What will I discover on this visit? 

The library I use in Long Eaton is one of the Carnegie libraries set up in 1906 which were responsible for the explosion of libraries in the UK courtesy of Andrew Carnegie.  Though his business methods might have been dubious, his resulting fortune had incalcuable benefits for many people.

Saturday, 10 April 2010

Inspirational Quotes for writers

'...the path to true learning begins nowhere else but in delight and the words on the signpost say: "Once upon a time..."'  Philip Pullman, Isis Speech, April 2003

Wednesday, 7 April 2010

Happy Birthday Internet

According to Wikipedia, today in 1969 – The Internet's symbolic birth date: publication of RFC 1.  Though of course Tim Berners Lee is credited with the work creating in 1989 what we now understand as the Internet.

Thursday, 1 April 2010

Tim Kliphuis

Not directly concerned with writing, but all writers I've met are interested in music too.  If you've never come across this Dutch violinist then take a listen at the link below.  I saw him live in Newark a couple of years ago and it was such a joy to listen to him and the excellent trio with him.

He's released a new CD and you can sample it at

If you're feeling jaded after this winter, then Tim's music will raise your spirits.